### To do
Your job: write out the lines further down up to the one that holds "2.6355", that line included.

### Listing
<<<
Entry 1:
Here is C26H32NO5STi as an isolated structure at a distorted geometry from OMol25. Energies are from ωB97M-V/def2-TZVPD.

As for the HOMO-LUMO gap (alpha / beta): 7.64 / 8.42 eV. As for the molecular weight: 518.48 u. For the HOMO energy (alpha / beta), the calculation gives -0.286 / -0.314 Ha. Its expectation value of S² is 0.754. The spin multiplicity is 2.

Atoms and positions in Å:
O 1.2160 -3.1871 -4.0789
C 0.5689 -4.4936 -3.8747
C 0.5466 -5.0237 -5.2734
H -0.5240 -4.4120 -3.6457
H 1.1633 -5.1169 -3.1795
C 1.3463 -3.7208 -5.4794
H -0.4307 -4.9765 -5.7087
H 1.0338 -5.9662 -5.3983
C 0.5719 -2.7019 -6.3400
H -0.4463 -2.4899 -5.8834
H 0.4289 -3.1056 -7.3598
H 1.1339 -1.7413 -6.3930
C 2.8366 -3.9756 -5.7580
H 3.2477 -4.6557 -4.9789
H 3.4070 -3.0218 -5.6778
H 2.9525 -4.4366 -6.7613
Ti 0.9542 -0.3448 -1.2121
C 2.4413 -0.3304 0.2976
C 1.3865 -1.0401 0.9843
C 1.1486 -2.2691 0.3091
H 0.9340 -0.6864 1.9066
C 2.0271 -2.3459 -0.8283
C 2.8663 -1.1652 -0.8160
H 3.6524 -0.9088 -1.5240
H 2.8144 0.6447 0.5939
H 0.4005 -3.0105 0.6004
H 2.0725 -3.1809 -1.5384
C 0.8871 1.8740 -1.1204
C 2.0617 1.5661 -1.9100
C 1.6048 0.9814 -3.1442
H 3.0636 1.8253 -1.6175
C 0.1706 0.9469 -3.1269
C -0.2705 1.5332 -1.9109
H -1.3061 1.6908 -1.5936
H 0.8817 2.2406 -0.1011
H 2.2412 0.7430 -3.9982
H -0.4890 0.6061 -3.9208
O -3.0660 -2.3067 -1.8261
C -2.1375 -3.4753 -2.1223
C -2.5501 -4.6167 -1.1535
H -1.0669 -3.2225 -2.1150
H -2.2507 -3.6445 -3.2057
C -3.6978 -4.0141 -0.2422
H -1.7825 -4.7299 -0.4025
H -2.7922 -5.6051 -1.6490
C -3.4366 -2.4820 -0.3715
H -3.9423 -4.3329 0.7967
H -4.6497 -4.3749 -0.7252
H -2.7226 -2.0189 0.3961
H -4.2372 -1.7703 -0.1355
O -3.8434 -0.6395 2.8029
S -3.5971 0.3585 1.7931
O -4.6629 1.0680 1.1326
N -2.5367 -0.1985 0.7325
C -1.3499 0.3741 0.7704
O -0.4250 -0.0410 -0.0192
C -1.2242 1.4108 1.8209
C -0.1881 2.2624 2.3306
C -0.4426 3.1062 3.4396
C -1.7192 3.1355 4.0230
C -2.7536 2.3604 3.5073
C -2.4595 1.5217 2.4236
H 0.8055 2.2490 1.8775
H 0.3462 3.7335 3.8568
H -1.9331 3.7642 4.8859
H -3.7707 2.3631 3.9150

Entry 2:
Here is a 2-piece molecular cluster, C30H40N2OP overall at a distorted geometry from OMol25. Energies are from ωB97M-V/def2-TZVPD.

As for the HOMO-LUMO gap: 4.42 eV. As for the molecular weight: 475.64 u. Its net charge is +1. For the HOMO energy, the calculation gives -0.354 Ha. The energy above the lowest of the compared OMol25 structures with the same formula, charge and spin comes out at 16.9 kcal per mole.

Atoms and positions in Å:
C -4.5160 -4.5227 2.0853
C -3.3771 -3.6509 1.6551
C -3.3517 -3.1237 0.3584
C -2.3182 -2.2998 -0.0497
C -1.2397 -1.9748 0.8310
C -0.1671 -1.1606 0.3548
C 1.1753 -1.2565 0.8183
C 1.6893 -2.3530 1.5759
C 3.0029 -2.3717 2.0369
C 3.8522 -1.3139 1.7009
O 5.1743 -1.2430 2.1117
C 6.0414 -2.3174 1.8942
C 7.0080 -2.1775 0.8924
C 7.8048 -3.2772 0.5703
C 7.6739 -4.4712 1.2871
C 6.7516 -4.5651 2.3283
C 5.9248 -3.4848 2.6466
C 3.4054 -0.2449 0.9080
C 2.0994 -0.2344 0.4634
C -1.3121 -2.4910 2.1648
C -2.3409 -3.3413 2.5408
H -4.2402 -5.1542 2.9366
H -5.3883 -3.9224 2.3833
H -4.8493 -5.1817 1.2742
H -4.1567 -3.3796 -0.3395
H -2.3058 -1.8984 -1.0670
H -0.3399 -0.5506 -0.5328
H 1.0340 -3.1876 1.8153
H 3.3650 -3.2061 2.6355
H 7.0902 -1.2337 0.3551
H 8.5319 -3.1898 -0.2372
H 8.3009 -5.3261 1.0349
H 6.6647 -5.4848 2.9147
H 5.1866 -3.5430 3.4474
H 4.1032 0.5425 0.6366
H 1.7410 0.5935 -0.1466
H -0.5607 -2.2009 2.8999
H -2.3503 -3.7927 3.5389
C 0.5548 4.1524 -3.9210
C 0.5040 3.5839 -2.5143
C 1.4090 2.3574 -2.3821
C 1.0207 4.6700 -1.5556
N -0.8721 3.2273 -2.1491
C -1.8465 2.8896 -3.1614
C -3.1500 2.5140 -2.4546
N -2.9247 2.6122 -1.0308
C -3.9612 2.2267 -0.0690
C -5.3433 2.3993 -0.6809
C -3.8885 3.1522 1.1551
C -3.7149 0.7903 0.3969
P -1.3253 2.7529 -0.6288
H -0.7498 1.3737 -0.2597
H -0.0888 5.0323 -4.0135
H 1.5759 4.4868 -4.1214
H 0.2906 3.4230 -4.6879
H 1.5200 2.0560 -1.3312
H 1.0149 1.4980 -2.9408
H 2.4148 2.5934 -2.7681
H 1.0367 4.3558 -0.5009
H 2.0451 4.9353 -1.8596
H 0.3962 5.5713 -1.6393
>>>

### Here it is
Entry 1:
Here is C26H32NO5STi as an isolated structure at a distorted geometry from OMol25. Energies are from ωB97M-V/def2-TZVPD.

As for the HOMO-LUMO gap (alpha / beta): 7.64 / 8.42 eV. As for the molecular weight: 518.48 u. For the HOMO energy (alpha / beta), the calculation gives -0.286 / -0.314 Ha. Its expectation value of S² is 0.754. The spin multiplicity is 2.

Atoms and positions in Å:
O 1.2160 -3.1871 -4.0789
C 0.5689 -4.4936 -3.8747
C 0.5466 -5.0237 -5.2734
H -0.5240 -4.4120 -3.6457
H 1.1633 -5.1169 -3.1795
C 1.3463 -3.7208 -5.4794
H -0.4307 -4.9765 -5.7087
H 1.0338 -5.9662 -5.3983
C 0.5719 -2.7019 -6.3400
H -0.4463 -2.4899 -5.8834
H 0.4289 -3.1056 -7.3598
H 1.1339 -1.7413 -6.3930
C 2.8366 -3.9756 -5.7580
H 3.2477 -4.6557 -4.9789
H 3.4070 -3.0218 -5.6778
H 2.9525 -4.4366 -6.7613
Ti 0.9542 -0.3448 -1.2121
C 2.4413 -0.3304 0.2976
C 1.3865 -1.0401 0.9843
C 1.1486 -2.2691 0.3091
H 0.9340 -0.6864 1.9066
C 2.0271 -2.3459 -0.8283
C 2.8663 -1.1652 -0.8160
H 3.6524 -0.9088 -1.5240
H 2.8144 0.6447 0.5939
H 0.4005 -3.0105 0.6004
H 2.0725 -3.1809 -1.5384
C 0.8871 1.8740 -1.1204
C 2.0617 1.5661 -1.9100
C 1.6048 0.9814 -3.1442
H 3.0636 1.8253 -1.6175
C 0.1706 0.9469 -3.1269
C -0.2705 1.5332 -1.9109
H -1.3061 1.6908 -1.5936
H 0.8817 2.2406 -0.1011
H 2.2412 0.7430 -3.9982
H -0.4890 0.6061 -3.9208
O -3.0660 -2.3067 -1.8261
C -2.1375 -3.4753 -2.1223
C -2.5501 -4.6167 -1.1535
H -1.0669 -3.2225 -2.1150
H -2.2507 -3.6445 -3.2057
C -3.6978 -4.0141 -0.2422
H -1.7825 -4.7299 -0.4025
H -2.7922 -5.6051 -1.6490
C -3.4366 -2.4820 -0.3715
H -3.9423 -4.3329 0.7967
H -4.6497 -4.3749 -0.7252
H -2.7226 -2.0189 0.3961
H -4.2372 -1.7703 -0.1355
O -3.8434 -0.6395 2.8029
S -3.5971 0.3585 1.7931
O -4.6629 1.0680 1.1326
N -2.5367 -0.1985 0.7325
C -1.3499 0.3741 0.7704
O -0.4250 -0.0410 -0.0192
C -1.2242 1.4108 1.8209
C -0.1881 2.2624 2.3306
C -0.4426 3.1062 3.4396
C -1.7192 3.1355 4.0230
C -2.7536 2.3604 3.5073
C -2.4595 1.5217 2.4236
H 0.8055 2.2490 1.8775
H 0.3462 3.7335 3.8568
H -1.9331 3.7642 4.8859
H -3.7707 2.3631 3.9150

Entry 2:
Here is a 2-piece molecular cluster, C30H40N2OP overall at a distorted geometry from OMol25. Energies are from ωB97M-V/def2-TZVPD.

As for the HOMO-LUMO gap: 4.42 eV. As for the molecular weight: 475.64 u. Its net charge is +1. For the HOMO energy, the calculation gives -0.354 Ha. The energy above the lowest of the compared OMol25 structures with the same formula, charge and spin comes out at 16.9 kcal per mole.

Atoms and positions in Å:
C -4.5160 -4.5227 2.0853
C -3.3771 -3.6509 1.6551
C -3.3517 -3.1237 0.3584
C -2.3182 -2.2998 -0.0497
C -1.2397 -1.9748 0.8310
C -0.1671 -1.1606 0.3548
C 1.1753 -1.2565 0.8183
C 1.6893 -2.3530 1.5759
C 3.0029 -2.3717 2.0369
C 3.8522 -1.3139 1.7009
O 5.1743 -1.2430 2.1117
C 6.0414 -2.3174 1.8942
C 7.0080 -2.1775 0.8924
C 7.8048 -3.2772 0.5703
C 7.6739 -4.4712 1.2871
C 6.7516 -4.5651 2.3283
C 5.9248 -3.4848 2.6466
C 3.4054 -0.2449 0.9080
C 2.0994 -0.2344 0.4634
C -1.3121 -2.4910 2.1648
C -2.3409 -3.3413 2.5408
H -4.2402 -5.1542 2.9366
H -5.3883 -3.9224 2.3833
H -4.8493 -5.1817 1.2742
H -4.1567 -3.3796 -0.3395
H -2.3058 -1.8984 -1.0670
H -0.3399 -0.5506 -0.5328
H 1.0340 -3.1876 1.8153
H 3.3650 -3.2061 2.6355